Lost in electronics

Gudrun V
Axel Busch
Wed 16 Feb 2011 12:06
The relative peaceful weekend with no more problems had lulled me into thinking that I was on top of the game now, and that the rest of the trip would be nice & quiet. Haha! Monday taught me better with the Chartplotter and Furler causing trouble, and yesterday it went on in the same tradition.
I was just cutting the cake to celebrate the fact that I've covered more than half of the distance, when the boat suddenly turned into the wind. I climbed into the cockpit, saw in passing that "STLK FAIL" was written across the autopilot display, and quickly jumped to the rescue of the tiller-pilot. The rudder was lying far on port, and the tiller-pilot was extended as far as I've never seen it before.
I steered the boat for an hour myself, thinking about the best course of action. Then I decided to furl the genoa away, lash the tiller down and go over the complete Raymarine installation while the weather is relatively nice. I wanted to understand how the problem came about, fix it, and find out what possible alternatives there are in case it happens again and I'm pressed for time. Six hours the boat sat there without moving as I removed panel after panel to check each connection. I'll spare you the details. It's hard enough to connect the little wires in places you can hardly reach when the boat is not moving. But when it's moving ...
Well, at least I think that I should not have any more problems with that stuff in the near future. And should the autopilot quit it's job next time with a "STLK FAIL" (Seatalk Link Failure) error, I know that it's enough to simply disconnect it from the other Raymarine devices. It will work happily on it's own. But if it detects a problem on the common bus it shuts down. Unlike the other Raymarine devices, which just don't show the missing data. Interesting, huh, considering that the autopilot is the only device of that whole installation that I really need. My phone, the iPod, even the camera has a GPS and can tell me where I am and where I'm going. But now that the wind-vane is out of action nothing else here can steer the boat while I eat my little celebration cake in peace. Think about it, Raymarine guys.
Between two parts of the article: quantum chemistry results:
No. 1
Formula: C22H45BBaF4NO10
Source: the OMol25 dataset
Level of theory: wB97M-V/def2-TZVPD

- Molecular weight: 707.73 g mol⁻¹
- Energy relative to the best compared isomer or geometry (same formula, charge and spin): 16.6 kJ/mol
- Frontier orbital gap: 7.9 eV
- Highest occupied orbital energy: -10.8 eV

ORCA input file:
```
! wB97M-V def2-TZVPD RIJCOSX def2/J DEFGRID3
* xyz 1 1
Ba -0.182 1.537 2.157
B -0.023 0.404 -0.754
F -0.311 -0.242 0.450
F -1.159 0.709 -1.510
F 0.616 1.622 -0.401
F 0.870 -0.280 -1.573
C -2.452 -3.540 -2.236
C -1.256 -2.870 -1.965
C -0.462 -3.355 -0.936
C -0.774 -4.506 -0.249
C -1.964 -5.162 -0.516
C -2.781 -4.682 -1.525
N 0.067 -5.011 0.837
O -0.228 -6.057 1.363
O 1.015 -4.329 1.169
H -3.102 -3.161 -3.014
H -0.924 -2.072 -2.612
H 0.487 -2.873 -0.726
H -2.292 -6.072 -0.033
H -3.724 -5.174 -1.728
C 3.317 3.146 0.905
O 2.640 2.581 2.041
C 3.385 1.723 2.876
C 3.460 0.363 2.255
O 2.157 -0.180 2.170
C 2.129 -1.404 1.414
H 3.200 2.464 0.062
H 4.384 3.253 1.110
H 2.845 4.106 0.732
H 2.765 1.557 3.771
H 4.315 2.153 3.248
H 4.154 -0.301 2.792
H 3.933 0.362 1.261
H 1.183 -1.881 1.658
H 2.889 -2.096 1.789
H 2.231 -1.173 0.355
C 1.014 -2.752 -7.390
O 0.624 -1.937 -6.313
C 1.661 -1.689 -5.424
C 1.397 -0.556 -4.461
O 1.215 0.661 -5.144
C 1.190 1.762 -4.250
H 0.132 -3.145 -7.883
H 1.568 -3.621 -7.007
H 1.688 -2.222 -8.065
H 2.607 -1.428 -5.934
H 1.937 -2.600 -4.869
H 2.150 -0.507 -3.671
H 0.453 -0.799 -3.947
H 0.691 2.561 -4.790
H 2.161 2.040 -3.833
H 0.554 1.508 -3.396
C -3.701 2.971 1.817
O -2.362 3.100 1.382
C -2.019 4.453 1.109
C -0.593 4.438 0.634
O 0.434 3.990 1.542
C 0.732 4.863 2.621
H -3.953 3.619 2.662
H -3.914 1.951 2.127
H -4.439 3.185 1.037
H -2.078 5.032 2.039
H -2.654 4.892 0.338
H -0.407 5.410 0.166
H -0.451 3.691 -0.152
H 0.850 5.928 2.396
H 1.685 4.603 3.078
H -0.073 4.819 3.363
C 0.383 -1.187 4.691
O -0.428 -0.741 3.615
C -1.808 -1.026 3.783
C -2.464 -1.281 2.421
O -2.559 -0.045 1.750
C -3.279 0.037 0.529
H 0.094 -2.163 5.084
H 0.289 -0.494 5.538
H 1.430 -1.205 4.403
H -2.364 -0.252 4.322
H -1.889 -1.995 4.285
H -3.492 -1.529 2.731
H -2.029 -2.069 1.804
H -2.894 -0.658 -0.221
H -3.164 1.040 0.138
H -4.331 -0.211 0.705
*
```



No. 2
Formula: C35H48AsN5O6V
Source: the OMol25 dataset
Level of theory: wB97M-V/def2-TZVPD

- Molecular weight: 760.66 g mol⁻¹
- <S²>: 3.7612
- Energy relative to the best compared isomer or geometry (same formula, charge and spin): 101.5 kJ/mol
- Frontier orbital gap (alpha / beta): 6.9 / 7.9 eV
- Highest occupied orbital energy (alpha / beta): -12.3 / -13.5 eV

ORCA input file:
```
! wB97M-V def2-TZVPD RIJCOSX def2/J DEFGRID3
* xyz 2 4
V -0.356 -0.978 0.217
C -0.295 -3.483 3.708
O -1.621 -3.131 3.344
C -1.543 -2.233 2.356
N -0.362 -1.881 1.953
C 0.604 -2.673 2.723
C 1.656 -1.957 3.541
C 2.806 -2.661 3.893
C 3.705 -2.127 4.802
C 3.462 -0.886 5.369
C 2.327 -0.175 5.015
C 1.422 -0.712 4.112
C -2.775 -1.828 1.727
C -3.964 -2.332 2.270
C -5.147 -2.101 1.604
C -5.085 -1.359 0.437
After I was back on course, with the spare tiller-pilot steering, I took apart the other one and made sure it's going to move ok again. Then I cleaned the cockpit, galley and floor, because I like cleaning. It's dirty, you clean it, it's clean. That simple. No crypted error messages necessary to tell you it's dirty (e.g. NT CLN), no rebooting necessary to find out if the last two hours of work were wasted or not, and no jumping between states. Clean or not clean. And it looks nice too.
In the meantime it was dark and the moon high above me in a clear sky. Time to practice some astronavigation! You never know, the way it's going on this trip tomorrow all the GPS satellites might suffer a catastrophic software failure and need a manual reboot. Or cleaning. Maybe I should apply at ESA/NASA for a position as janitor on the ISS after this trip. I could clean the station and in my spare time fix stuff. Like plumbing, solar panels, navigational computers etc. Hang on! The "Space Quest" adventure game series of the late eighties comes into a whole new perspective suddenly! :-)
1310nm to go.